Saturday, August 24, 2013

Traffic peeve #76

(Peeve number scientifically chosen by hammering my number keys)

So yes, there is a story behind this.  I was stuck in the shit-tastically designed parking lot of a shopping center that was built here a while back.  In the process of turning around and GTFOing, I ran across one such asshole as depicted in the comic.  Driving an SUV, of course.  He did leave enough room for me to get by, thankfully.  As I turned past him I honked, to which he replied "thank you!".  I instinctively responded "You're welcome!" and drove on.

Tuesday, August 20, 2013

PowerShell 2.0 Type Accelerators

So at work I've been using PowerShell for things, because it's a fairly easy to learn scripting language that's grafted to the hip of .NET.  Specifically, PowerShell 2.0.  Yes, I know PowerShell 3.0 is a thing, and that there's a beta for 4.0.  I don't care.

One of the things in PowerShell 2.0 you might have noticed and/or used are the type accelerators.  Normally when you want to make a new object, you have to do something like this (using a stopwatch as an example):
$sw = new-object System.Diagnostics.Stopwatch
If there existed a type accelerator for System.Diagnostics.Stopwatch, that could be as easy as this:
$sw = new-object stopwatch
Well, the good news is, you can add your own type accelerators.  The doubly good news is, a type accelerator is a type of its own, so you can use a type accelerator to make adding type accelerators easier as well.  Sup dawg, I heard you like type accelerators.

The following doesn't apply if you use the PowerShell Community Extensions, where this already exists.  This is just a way for you to get equivalent functionality in vanilla PowerShell 2.0.

Attached: quantum chemistry results:
# 1
Density functional theory data (the ωB97M-V functional and the def2-TZVPD basis) for a single C4H5FO molecule at a distorted geometry.

Atoms and positions in Å:
F  0.56  -1.97  -0.11
O  -1.61  0.00  -0.71
C  -0.94  -0.15  0.56
C  0.51  -0.67  0.35
C  1.21  0.31  -0.54
C  1.79  1.17  -1.15
H  -0.81  0.87  0.99
H  -1.53  -0.84  1.20
H  -2.54  -0.04  -0.41
H  0.89  -0.55  1.37
H  2.47  1.88  -1.56

Results
HOMO ... -10.22 eV
Energy ... -330.42176 a.u.
Strongest force on any atom ... 2.31 eV/Å
SMILES ... C#C[C@H](F)CO
Gap between HOMO and LUMO ... 11.0 eV


# 2
Density functional theory data (the ωB97M-V functional and the def2-TZVPD basis) for a molecular structure, C36H40AuIN3OP2.

Atoms and positions in Å:
Au  0.30  -0.16  0.36
I  3.02  -1.78  -0.42
P  1.62  1.93  0.43
P  -1.14  1.76  0.70
O  0.00  -1.38  -1.65
N  -2.51  -2.98  1.75
N  0.21  2.79  0.75
N  0.56  -2.74  -3.34
C  0.10  4.26  0.69
C  1.22  -0.65  3.23
C  4.57  2.43  3.85
C  2.48  3.01  2.83
C  -2.24  1.46  -1.81
C  2.77  2.15  1.76
C  2.30  2.45  -1.12
C  3.38  3.15  3.87
C  -1.04  -3.11  1.37
C  -3.74  3.05  -2.81
C  1.54  -1.40  4.35
C  3.97  1.42  1.76
C  0.27  -3.24  3.50
C  -0.11  -2.49  2.37
C  3.26  3.27  -3.59
C  0.43  -1.21  2.24
C  3.62  2.90  -1.24
C  1.08  -2.70  4.48
C  4.87  1.57  2.80
C  -1.35  2.04  3.43
C  -3.01  1.87  -2.89
C  -3.44  1.96  4.61
C  -3.70  3.83  -1.65
C  -2.04  1.90  2.22
C  -2.94  3.42  -0.57
C  1.94  2.82  -3.47
C  -2.87  -3.72  3.00
C  0.86  -1.82  -2.43
C  -2.06  2.08  4.62
C  -4.13  1.80  3.42
C  2.28  -1.35  -2.37
C  1.47  2.40  -2.24
C  4.09  3.31  -2.48
C  -2.20  2.24  -0.65
C  -2.95  -1.56  1.84
C  -3.44  1.76  2.22
H  4.20  0.75  0.94
H  -0.95  -2.66  0.38
H  1.63  0.34  3.12
H  2.17  -0.97  5.12
H  -0.37  4.58  -0.24
H  -3.99  2.00  5.55
H  -2.93  4.02  0.33
H  1.55  3.57  2.84
H  -2.54  -4.75  2.91
H  2.31  -0.26  -2.49
H  -0.86  -4.19  1.28
H  -0.39  -3.06  -3.44
H  -2.39  -3.24  3.85
H  1.24  -3.08  -4.00
H  -4.01  -1.54  2.08
H  -3.03  -3.42  0.99
H  -0.08  -4.26  3.59
H  -3.96  -3.69  3.11
H  5.10  3.68  -2.58
H  1.35  -3.30  5.34
H  -4.28  4.74  -1.60
H  1.10  4.70  0.75
H  -5.21  1.72  3.42
H  -2.78  -1.08  0.87
H  -3.05  1.27  -3.78
H  0.44  2.06  -2.15
H  -0.48  4.62  1.54
H  1.30  2.80  -4.34
H  5.80  1.02  2.80
H  -4.34  3.37  -3.65
H  3.63  3.60  -4.55
H  -3.97  1.66  1.29
H  -1.53  2.22  5.56

So, as implied above, we want to make a type accelerator for type accelerators.  This task is actually pretty simple.  Just plop this in your PowerShell profile (do echo $profile and create the file that comes up):
if( !( [type]::gettype( 'System.Management.Automation.TypeAccelerators' )::get.containskey( 'accelerators' ) ) ) { $_accel_type = [type]::gettype( 'System.Management.Automation.TypeAccelerators' ) $_accel_type::add( 'accelerators', $_accel_type ) remove-item Variable:_accel_type }
I will now proceed to explain it line by line.  The first line checks to see if there's a type accelerator called 'accelerators' already.  If it already exists, nothing will happen.  The whole point of this is so you can add other stuff to your profile and rerun it in the same session without getting errors.  The second line grabs the System.Management.Automation.TypeAccelerators type and stores it in a temporary variable.  The third line uses that variable's add static method to make a type accelerator for, you guessed it, type accelerators.  The fourth line simply removes our temporary variable.

After this has run (either restart PowerShell, or just run . $profile), or if you're using the PowerShell Community Extensions, the following is now possible:
Run that and PowerShell will poop out a list of all your available type accelerators.  Further type accelerators can be added using this type accelerator.  Returning to our example at the top:
[accelerators]::add( 'stopwatch', [System.Diagnostics.Stopwatch] )

Saturday, August 17, 2013

The Simpsons: Hit and Run

Yes, I finally started playing this game.  After moving out and not having internet for a bit I found time in my schedule for gaming, so here we go.

First impression: the game is good and makes a lot of references to a lot of the best episodes of the show, while at the same time having its own story.

As far as the gameplay goes, it's almost GTA but with The Simpsons.  You can run around and take any car you want, but it's more mission-focused than GTA.  There are fewer side things to do, and no weapons.  You can build up a meter by hitting people and cars and things, once it gets high enough the police chase you until either they bust you, which basically only takes 50 coins from the game's infinite supply of coins, or you get away.  Sometimes depending on where you are or what you're doing when they start chasing you it's easier to just get busted, since once they get their money, they neglect to take you to the police station.

In place of GTA's "hidden packages" are cards you can find, and wasp cameras to find and kill.  You can take side missions occasionally, as there are bonus missions you can find that unlock vehicles, and races that are fairly unforgiving in difficulty.

The game is severely missing a full map you can bring up.  The compass in the corner only shows so much, and it's all different shades of green, so it all blends together.  On this minimap are little icons indicating where various things like stores, races, and your current objective are, but it's kind of pointless because it has such a short range around your current location.  At least have a map I can buy at the Kwik-E-Mart or something...

Graphically the game is nice to look at, and handled the 2D->3D transition pretty well.  One thing I noticed relatively quickly was the tearing, which indicates that the game doesn't use VSync.

One thing that detracts from the gameplay is how much the game relies on timed missions.  This would be more acceptable if the time limits started out forgiving and got more and more strict as you progress through the game, but the time limits are strict from the start.  Throughout each area of Springfield you play in, there are shortcuts you can take, and to have any kind of ease with the timed missions you need to memorize their locations so you can drive through as fast as possible.  The "mission failed" screen even suggests that you do this.  While I like the addition of the hidden shortcuts, I don't think the time limits should have been set so strictly as to require their use.

Now, on to the game's overall progression.  Leaving the story out for the most part so if there's anyone else remaining who hasn't played this game and wants to, they can read this without spoiling themselves.  Anyway.

The game starts out with Marge ordering Homer around, and you do a set of missions as Homer.  These range from taking a science project to Lisa at Springfield Elementary to having to beat Smithers in an impromptu race from the power plant to Mr. Burns' mansion.

After you complete Homer's missions, you assume control of Bart for a completely different set of missions that culminate in you helping Professor Frink build Truckasaurus Rex and then take out a series of cell phone-using drivers so that Truckasaurus Rex can actually be controlled.  After Bart's missions, you assume control of Lisa.

Lisa's section is absolutely brutal with the timed missions.  They give you so very little leeway in the time limit that you have to know where all the shortcuts are AND not run into any traffic.  Or, you can do what I did and cheese the timer.  Essentially, it gives you some time to get somewhere, so get there and satisfy the first timer.  Once you get within a certain range of your objective, the timer goes away and it tells you to talk to the person.  Instead of talking to them, drive to (or at least, much closer to) your next objective, then get out and walk back.  Talk to the person, get what you need, and then walk allllllll~~~ the way back to your car.  Yes, this takes longer than driving, but you don't have to deal with the damn time limit, and it's what I found myself doing after failing the same mission about four or five times in a row because of said time limit.  The game really could have done without the time limits.  I come from the Vexian school of game balance, which carries the de facto motto of "If it's not fun, what's the point?".  You know what's not fun?  Failing the same mission over and over due to a strict time limit.  Also, to quote AVGN: "All it makes me do is have to do the same monotonous stuff over and over again, and it's not fun, it's boring."

After Lisa's section, you get Marge's.  It's more of the same shit with the time limits, except this time they're even stricter.  Basically, if you screw up at all, you'd better just restart the mission or you're wasting your time.  There was a nice time limit-less section of Marge's section, but for that it gives you one of those "follow the car" missions where if you get too far away you lose the car and fail the mission, and the leash they put you on is incredibly short.

Even though the game is divided up into missions by character, it's not the end of the world if you miss things, because you can go back to any mission and get what you missed.  The method of doing so is a little weird, but it works.  You have to go into the pause menu and select "Mission Select".  This also lets you easily re-play a section of the game that you may have taken a liking to, or try to legitimately get through a section you skipped.  "Skipped?" you say, perhaps raising an eyebrow.  Yes, in my rage-inducing attempts to finish some of Marge's missions, the game revealed a "skip" option on the failure screen.  According to the internet (and the internet is never wrong!) you can skip your way to the end of the game if you want to.

It's kind of a shame that the time limits ruin the gameplay so much, because without them, or if they were relaxed a bit, it'd be a really good game.  I really do see what they were going for, but I don't remember quite this many timed missions in GTA 3 when I played through it.  They weren't absent, but they also weren't EVERY. SINGLE. MISSION.

I haven't finished the game yet, but I feel confident sticking with the overall opinion I've established thus far.  If everything changes massively in the remaining gameplay, I'll do a follow-up post.

Wednesday, August 7, 2013

Switching to 24 hour time, Day 1

Well, Day 1 was yesterday.  But whatever.

I want to switch over because 24 hour time is less ambiguous than 12 hour time.  You don't have to read the time twice to tell what time it is, essentially.  Plus, I've been switching everything I possibly can over to ISO 8601 dates, and ISO 8601 uses 24 hour time.

(ISO 8601 organizes the date/time fields in the order of "changes the least often" to "changes the most often", from left to right.  Today would then be 2013-08-07 07:35.  This is less ambiguous for a human to read, and it can be sorted by computers very easily since strcmp will always report that a later date is "bigger" than an earlier date.)

However, I had a bit of a panic yesterday when I looked at my watch to see if it was about time to go to bed and there were numbers I didn't expect.  I had to do the old "subtract 12" thing to see that I still had another hour before I really needed to go to bed.

It seems like I can't configure my phone (an LG 420G) for it, and a Google search returned nothing useful.

I really just need to get myself used to using new numbers in the latter half of the day.  I get off work at 17 and go to bed at 22, not 5 and 10, respectively.

(also, side note, I'm going to be leaving the timestamps alone on this blog)

Saturday, August 3, 2013

Moving On With Life

Yeah, I'm finally getting the hell out of my parents' house.  It's been long overdue.

Move-in day at the apartment is the 9th.  I'll have two of my friends as roommates.  I don't know how long it'll take to get myself moved in, I'm expecting the process to take the entire weekend, mostly for little fiddly organizational bits.

To be honest I'm kind of nervous, and this is entirely to be expected.  I mean, I did go off to college and live in a dorm for the one semester I was actually there, but this time I'll truly live independently of my parents.  It'll be a new adventure, I guess.

I mean, I'm so nervous that I haven't actually told my parents yet.  I just can't find a good way to bring it up.  Having the social anxiety I have, it's difficult for me to start a conversation about a topic as big as this just out of the blue, even though it's my parents I'll be talking to.

I was initially keeping it secret because I know that if I'd brought it up they'd try to get involved somehow and then question how independent I really am.  I was planning on bringing it up after I'd signed the lease and it was a done deal.  Then after signing the lease I realized another reason to maybe keep it hidden for a bit longer: my dad is an asshole when it comes to all things financial.  I can completely picture him going "you're moving out?  Okay, here's your car insurance bill, your health insurance bill, and by the way, buy the car from me".  I'm not saying I don't want to pay for my own shit, but I don't want all that dumped on me immediately.  I'm not entirely sure yet that I could handle a sudden spike in monthly expenses, and I'll already have ~$400/month of rent to pay.  Keeping it secret longer gives him less time to carefully plan out how much of an asshole he'll be.

You can also be sure that when I do mention it, it will be to my mom.